-- Excerpt --
Record 1
A structure of composition C23H20MoN2O6S. Source: the OMol25 dataset; level of theory: ωB97M-V with the def2-TZVPD basis set.

The geometry in ORCA input format:
```
! RIJCOSX wB97M-V def2-TZVPD def2/J DEFGRID3
* xyz 0 3
Mo 1.2287 0.9123 -0.0984
O -2.0301 2.0011 2.3298
C -0.7539 2.2532 2.1300
O -0.2847 3.0666 1.3729
C 0.1851 1.3365 2.8745
C 0.0702 0.9085 4.1769
C 1.1171 0.1582 4.7146
C 2.2367 -0.1182 3.9464
C 2.2556 0.3212 2.6338
N 1.2344 0.9967 2.1190
C 3.4473 0.1905 1.6868
O 4.4832 -0.2864 2.0734
O 3.1934 0.7132 0.5221
H -2.4958 2.2590 1.4909
H -0.8031 1.1704 4.7565
H 1.0620 -0.1855 5.7389
H 3.0929 -0.6567 4.3270
O -2.6015 2.2196 -0.2711
C -1.5548 1.9546 -0.8436
O -0.7224 1.0550 -0.3780
C -1.2042 2.6123 -2.1391
C -2.2757 3.1760 -2.8330
C -2.0960 3.8036 -4.0505
C -0.8202 3.8961 -4.5857
C 0.2565 3.3591 -3.9033
C 0.0797 2.7052 -2.6848
S 1.6035 2.0889 -1.9874
H -3.2565 3.1047 -2.3839
H -2.9440 4.2235 -4.5747
H -0.6596 4.3917 -5.5342
H 1.2561 3.4397 -4.3102
C -1.9999 -3.7804 0.5723
N -1.8482 -2.3415 0.6311
C -2.3912 -1.6944 -0.5487
C -0.5307 -1.8514 1.0182
C 0.6187 -2.0938 0.0412
C 1.0415 -3.4164 -0.1309
C 2.0373 -3.7558 -1.0259
C 2.6698 -2.7606 -1.7616
C 2.3210 -1.4422 -1.5511
C 1.3006 -1.0812 -0.6560
H -3.0643 -4.0187 0.5350
H -1.5847 -4.2358 1.4739
H -1.5253 -4.2469 -0.3037
H -3.3824 -2.1038 -0.7478
H -1.7742 -1.8450 -1.4483
H -2.4927 -0.6263 -0.3717
H -0.2778 -2.3273 1.9713
H -0.6482 -0.7836 1.2085
H 0.5826 -4.1952 0.4638
H 2.3313 -4.7914 -1.1395
H 3.4543 -3.0094 -2.4642
H 2.8628 -0.6694 -2.0817
*
```

The total energy is -52133.3690 eV. The value obtained for the HOMO energy (alpha / beta) is -8.3 / -8.4 eV. The gap between HOMO and LUMO (alpha / beta) is 0.2500 / 0.2682 hartree. The LUMO energy (alpha / beta) comes out at -1.477 / -1.079 eV. Its expectation value of S² is 2.020. For the energy above the lowest of the compared OMol25 structures with the same formula, charge and spin, the calculation gives 9.1 kcal per mole.

Atom charges from the natural (NBO) analysis, given in e for atoms 1 to 6: number 1, Mo, carries 1.29; number 2, O, carries -0.67; number 3, C, carries 0.79; number 4, O, carries -0.57; number 5, C, carries 0.13; number 6, C, carries -0.21

***

Record 2
An isolated molecule of C23H20N2O3 at a distorted geometry. Source: the OMol25 dataset; level of theory: ωB97M-V with the def2-TZVPD basis set.

The geometry in ORCA input format:
```
! RIJCOSX wB97M-V def2-TZVPD def2/J DEFGRID3
* xyz 0 1
C -2.3522 2.7499 0.8804
C -1.0865 2.1520 1.3631
C -0.2183 1.2404 0.7725
C -0.3769 0.4706 -0.5117
O -0.4403 -0.9890 0.0866
C -0.8330 -1.9952 -0.7310
C 0.1571 -2.9463 -1.1424
C -0.2026 -4.0577 -1.9051
C -1.5265 -4.2674 -2.3296
C -2.5097 -3.3417 -1.9146
N -3.8550 -3.5232 -2.3786
O -4.7569 -2.8020 -1.8877
O -4.0845 -4.3965 -3.2503
C -2.1760 -2.2206 -1.1081
C 0.7589 0.5390 -1.5270
C 1.9285 1.3062 -1.3379
C 3.0672 0.9739 -2.1138
C 2.9591 -0.0079 -3.1205
C 1.6828 -0.4633 -3.5064
C 0.5529 -0.0135 -2.8073
C 0.9438 1.1131 1.6261
C 2.0863 0.3095 1.5877
C 2.9363 0.3006 2.7021
C 2.6153 1.0278 3.8666
C 1.4428 1.7961 3.9398
C 0.6458 1.8735 2.8020
N -0.5988 2.4556 2.6252
C -1.3313 3.1447 3.6663
H -2.4721 2.6141 -0.2010
H -3.2008 2.2686 1.3927
H -2.3845 3.8297 1.1046
H -1.3923 0.6030 -0.9630
H 1.2050 -2.7303 -0.8872
H 0.5646 -4.7960 -2.1735
H -1.7994 -5.1062 -2.9871
H -2.9743 -1.5449 -0.7948
H 2.0168 2.0676 -0.5410
H 4.0308 1.4534 -1.8880
H 3.8624 -0.3890 -3.6204
H 1.5670 -1.1716 -4.3334
H -0.4733 -0.1792 -3.1816
H 2.2981 -0.2579 0.6721
H 3.8373 -0.3108 2.6600
H 3.2876 0.9666 4.7162
H 1.1580 2.3138 4.8478
H -0.7380 3.0793 4.5781
H -1.5163 4.1956 3.4089
H -2.3050 2.6656 3.8444
*
```

-- Activity --
The reader should count the lines earlier on that contain the word "beta" and give the number alone.

-- Done --
1